Please start at the top of the calculation results further below and return each line, ending with the one that has "2.138".

~~~
# 1
DFT (the ωB97M-V functional and the def2-TZVPD basis) results for 2 unconnected molecules or ions with the total composition C4H13N2.

The value obtained for the relative energy (zero: lowest compared OMol25 entry of this formula, charge and spin) is 164.4 kcal/mol. The calculation puts the orbital gap at 5.8 eV.

ORCA input file:
```
! wB97M-V def2-TZVPD RIJCOSX def2/J DEFGRID3
* xyz 1 1
N -2.665 -0.611 0.817
C -2.163 -0.120 -0.372
C -1.076 0.875 -0.686
N 1.440 -0.112 0.376
C 1.954 -1.138 -0.502
C 2.326 1.069 0.466
H -2.038 -0.775 1.586
H -3.487 -0.172 1.183
H 0.457 0.122 0.118
H -1.322 -0.795 -0.725
H -3.003 0.011 -1.077
H -0.981 0.981 -1.831
H -1.281 1.950 -0.350
H 1.385 -2.057 -0.457
H 2.106 -0.880 -1.520
H 2.930 -1.499 -0.177
H 2.727 1.357 -0.555
H 1.684 1.842 0.856
H 3.156 0.860 1.168
*
```

---

# 2
DFT (the ωB97M-V functional and the def2-TZVPD basis) results for a gas-phase ion, C4H13N2 (charge +2).

Its expectation value of S² is 0.75. The value obtained for the relative energy (zero: lowest compared OMol25 entry of this formula, charge and spin) is 21.8 kcal/mol. The calculation puts the orbital gap (alpha / beta) at 14.5 / 9.2 eV.

ORCA input file:
```
! wB97M-V def2-TZVPD RIJCOSX def2/J DEFGRID3
* xyz 2 2
C -0.937 -0.006 0.358
N -0.148 -1.274 0.673
C -0.790 -2.596 0.362
C -0.348 0.721 -0.896
N 1.075 1.069 -0.740
C 1.401 2.255 0.008
H -0.874 0.681 1.192
H -1.961 -0.250 0.091
H 0.040 -1.223 1.679
H -0.094 -3.388 0.633
H -0.898 -2.673 -0.717
H -1.692 -2.725 0.952
H -0.915 1.632 -1.055
H -0.463 0.033 -1.735
H 0.729 -1.188 0.161
H 1.456 1.197 -1.691
H 1.078 3.145 -0.559
H 2.452 2.297 0.307
H 0.889 2.293 0.977
*
```

---

# 3
DFT (the ωB97M-V functional and the def2-TZVPD basis) results for a gas-phase ion, C4H13N2 (charge +2).

Its expectation value of S² is 0.75. The value obtained for the relative energy (zero: lowest compared OMol25 entry of this formula, charge and spin) is 50.9 kcal/mol. The calculation puts the orbital gap (alpha / beta) at 12.9 / 7.0 eV.

ORCA input file:
```
! wB97M-V def2-TZVPD RIJCOSX def2/J DEFGRID3
* xyz 2 2
N -1.653 0.048 1.669
C -1.450 -0.916 0.510
C -0.708 -0.256 -0.729
N -0.033 0.975 -0.269
C 1.466 1.049 -0.442
C 2.098 -0.336 -0.649
H -1.342 -0.521 2.463
H -2.627 0.331 1.742
H -1.005 0.912 1.447
H -0.825 -1.766 0.816
H -2.428 -1.419 0.190
H -1.507 0.089 -1.416
H -0.185 -0.990 -1.364
H -0.368 1.785 -0.807
H 1.777 1.404 0.568
H 1.797 1.713 -1.304
H 1.762 -0.717 -1.642
H 3.128 -0.321 -0.991
H 2.104 -1.063 0.206
*
```

---

# 4
DFT (the ωB97M-V functional and the def2-TZVPD basis) results for 2 unconnected molecules or ions with the total composition C4H13N2O.

Its expectation value of S² is 0.75. The value obtained for the relative energy (zero: lowest compared OMol25 entry of this formula, charge and spin) is 45.0 kcal/mol. The calculation puts the orbital gap (alpha / beta) at 4.4 / 7.2 eV.

ORCA input file:
```
! wB97M-V def2-TZVPD RIJCOSX def2/J DEFGRID3
* xyz 0 2
C -1.285 1.816 0.009
C -1.677 0.357 0.341
C -0.509 -0.526 0.680
C 0.232 -0.352 1.847
N 1.237 -1.331 2.138
N 0.417 -0.762 -0.509
H -0.822 1.853 -0.980
H -0.523 2.223 0.680
H -2.121 2.513 0.056
H -2.233 0.352 1.278
H -2.292 -0.016 -0.481
H -0.199 0.255 2.640
H 1.699 -1.095 3.020
H 0.777 -2.195 2.488
H 0.017 -0.778 -1.437
H 0.968 0.126 -0.581
H 1.172 -1.418 -0.385
H 1.560 -1.016 -3.921
H 2.128 0.300 -3.586
O 1.454 -0.307 -3.297
*
```

---

# 5
DFT (the ωB97M-V functional and the def2-TZVPD basis) results for 2 unconnected molecules or ions with the total composition C4H13N2O.

The value obtained for the relative energy (zero: lowest compared OMol25 entry of this formula, charge and spin) is 30.8 kcal/mol. The calculation puts the orbital gap at 10.7 eV.

ORCA input file:
```
! wB97M-V def2-TZVPD RIJCOSX def2/J DEFGRID3
* xyz 1 1
C -1.048 0.224 -2.450
C -0.207 -0.923 -1.960
N -0.369 -1.050 -0.465
H -0.858 0.451 -3.497
H -2.118 0.057 -2.333
H -0.822 1.159 -1.925
H -0.522 -1.872 -2.392
H 0.855 -0.811 -2.163
~~~

# 1
DFT (the ωB97M-V functional and the def2-TZVPD basis) results for 2 unconnected molecules or ions with the total composition C4H13N2.

The value obtained for the relative energy (zero: lowest compared OMol25 entry of this formula, charge and spin) is 164.4 kcal/mol. The calculation puts the orbital gap at 5.8 eV.

ORCA input file:
```
! wB97M-V def2-TZVPD RIJCOSX def2/J DEFGRID3
* xyz 1 1
N -2.665 -0.611 0.817
C -2.163 -0.120 -0.372
C -1.076 0.875 -0.686
N 1.440 -0.112 0.376
C 1.954 -1.138 -0.502
C 2.326 1.069 0.466
H -2.038 -0.775 1.586
H -3.487 -0.172 1.183
H 0.457 0.122 0.118
H -1.322 -0.795 -0.725
H -3.003 0.011 -1.077
H -0.981 0.981 -1.831
H -1.281 1.950 -0.350
H 1.385 -2.057 -0.457
H 2.106 -0.880 -1.520
H 2.930 -1.499 -0.177
H 2.727 1.357 -0.555
H 1.684 1.842 0.856
H 3.156 0.860 1.168
*
```

---

# 2
DFT (the ωB97M-V functional and the def2-TZVPD basis) results for a gas-phase ion, C4H13N2 (charge +2).

Its expectation value of S² is 0.75. The value obtained for the relative energy (zero: lowest compared OMol25 entry of this formula, charge and spin) is 21.8 kcal/mol. The calculation puts the orbital gap (alpha / beta) at 14.5 / 9.2 eV.

ORCA input file:
```
! wB97M-V def2-TZVPD RIJCOSX def2/J DEFGRID3
* xyz 2 2
C -0.937 -0.006 0.358
N -0.148 -1.274 0.673
C -0.790 -2.596 0.362
C -0.348 0.721 -0.896
N 1.075 1.069 -0.740
C 1.401 2.255 0.008
H -0.874 0.681 1.192
H -1.961 -0.250 0.091
H 0.040 -1.223 1.679
H -0.094 -3.388 0.633
H -0.898 -2.673 -0.717
H -1.692 -2.725 0.952
H -0.915 1.632 -1.055
H -0.463 0.033 -1.735
H 0.729 -1.188 0.161
H 1.456 1.197 -1.691
H 1.078 3.145 -0.559
H 2.452 2.297 0.307
H 0.889 2.293 0.977
*
```

---

# 3
DFT (the ωB97M-V functional and the def2-TZVPD basis) results for a gas-phase ion, C4H13N2 (charge +2).

Its expectation value of S² is 0.75. The value obtained for the relative energy (zero: lowest compared OMol25 entry of this formula, charge and spin) is 50.9 kcal/mol. The calculation puts the orbital gap (alpha / beta) at 12.9 / 7.0 eV.

ORCA input file:
```
! wB97M-V def2-TZVPD RIJCOSX def2/J DEFGRID3
* xyz 2 2
N -1.653 0.048 1.669
C -1.450 -0.916 0.510
C -0.708 -0.256 -0.729
N -0.033 0.975 -0.269
C 1.466 1.049 -0.442
C 2.098 -0.336 -0.649
H -1.342 -0.521 2.463
H -2.627 0.331 1.742
H -1.005 0.912 1.447
H -0.825 -1.766 0.816
H -2.428 -1.419 0.190
H -1.507 0.089 -1.416
H -0.185 -0.990 -1.364
H -0.368 1.785 -0.807
H 1.777 1.404 0.568
H 1.797 1.713 -1.304
H 1.762 -0.717 -1.642
H 3.128 -0.321 -0.991
H 2.104 -1.063 0.206
*
```

---

# 4
DFT (the ωB97M-V functional and the def2-TZVPD basis) results for 2 unconnected molecules or ions with the total composition C4H13N2O.

Its expectation value of S² is 0.75. The value obtained for the relative energy (zero: lowest compared OMol25 entry of this formula, charge and spin) is 45.0 kcal/mol. The calculation puts the orbital gap (alpha / beta) at 4.4 / 7.2 eV.

ORCA input file:
```
! wB97M-V def2-TZVPD RIJCOSX def2/J DEFGRID3
* xyz 0 2
C -1.285 1.816 0.009
C -1.677 0.357 0.341
C -0.509 -0.526 0.680
C 0.232 -0.352 1.847
N 1.237 -1.331 2.138